File
/*
(1)
DFT (ωB97M-V with the def2-TZVPD basis set) results for a single C6H8 molecule in a non-equilibrium geometry.

Geometry (Å):
C  -0.5644  -0.1616  1.0880
C  -0.2282  -1.0398  -0.1313
C  -0.7611  0.0319  -1.1133
C  -0.1641  1.0797  -0.1426
C  1.2693  0.7069  -0.1452
C  1.2150  -0.6429  0.1467
H  -0.0974  0.1586  2.0256
H  -1.6059  -0.3125  1.4005
H  -0.5121  -2.0951  -0.1874
H  -1.8610  0.0683  -1.1456
H  -0.3430  -0.0028  -2.1305
H  -0.4871  2.1234  -0.0768
H  2.1142  1.3879  -0.0458
H  2.0258  -1.3020  0.4577

- SMILES = C1=C[C@H]2C[C@@H]1C2
- charge = 0
- electronic energy (eV) = -6347.8772
- LUMO level (eV) = 1.188
- Kohn-Sham gap (eV) = 9.2
- HOMO energy (Ha) = -0.2943
- maximum force (eV/Å) = 4.567



(2)
DFT (ωB97M-V with the def2-TZVPD basis set) results for a single C3H4ClF molecule in a non-equilibrium geometry.

Geometry (Å):
C  0.7127  -0.2882  -0.3703
C  -0.1887  0.8125  -0.0847
C  -0.5323  -0.4469  0.6540
H  0.2425  -0.7859  -1.3294
H  0.1900  1.7760  0.4819
H  -0.8670  1.0397  -0.8161
H  -0.3830  -0.7087  1.7023
F  -1.5733  -0.9170  -0.2357
Cl  2.3992  -0.4816  -0.0020

- SMILES = F[C@@H]1C[C@H]1Cl
- charge = 0
- electronic energy (eV) = -18413.2628
- LUMO level (eV) = 1.060
- Kohn-Sham gap (eV) = 10.9
- HOMO energy (Ha) = -0.3633
- maximum force (eV/Å) = 6.229



(3)
DFT (ωB97M-V with the def2-TZVPD basis set) results for a single C18H28N2O2 molecule in a non-equilibrium geometry.

Geometry (Å):
C  1.7199  -0.8604  -2.0175
C  1.0241  -0.5749  -2.9519
N  1.9164  -0.7526  0.2987
O  -0.4384  -3.3164  3.5860
O  0.9623  0.5637  2.3895
C  2.4886  -1.1539  -0.8515
C  2.6231  -0.9568  1.4349
C  3.7149  -1.7934  -0.9241
C  3.8737  -1.5678  1.4750
C  4.3821  -2.0260  0.2592
N  0.8669  -1.0734  4.7175
C  -4.5789  0.5026  -0.3094
C  0.1243  -0.0526  -3.9939
C  -3.0792  0.7673  -0.1981
C  0.0152  1.4618  -3.9864
C  -2.7998  2.2650  -0.5247
C  -0.9114  2.0384  -2.9434
C  -1.3584  2.7371  -0.5081
C  -0.4417  1.8907  -1.4608
C  0.0478  -2.2701  2.7196
C  1.9433  -0.4586  2.6825
C  1.2905  -1.6422  3.4177
H  -1.2915  -3.5971  3.2434
H  0.7573  0.5023  1.4466
H  4.0965  -2.1228  -1.8773
H  4.4134  -1.7293  2.4340
H  5.3225  -2.5808  0.1665
H  0.3612  -1.7651  5.2255
H  0.2980  -0.2339  4.5514
H  -4.8054  -0.5885  -0.2178
H  -5.0324  0.8486  -1.2504
H  -5.1632  0.9966  0.4986
H  0.4638  -0.3921  -4.9526
H  -0.8875  -0.5074  -3.8214
H  -2.7659  0.5948  0.8610
H  -2.5220  0.1024  -0.8496
H  -0.4048  1.7759  -4.9580
H  1.0371  1.8984  -3.9299
H  -3.3426  2.8367  0.2280
H  -3.2006  2.5094  -1.4934
H  -1.0332  3.1152  -3.0838
H  -1.8579  1.5380  -3.0822
H  -1.2963  3.8385  -0.7049
H  -0.9764  2.6604  0.5068
H  0.5793  2.2359  -1.3624
H  -0.4168  0.8643  -1.1939
H  -0.6922  -1.5080  2.6460
H  0.3013  -2.6138  1.7271
H  2.6516  0.0165  3.3279
H  2.0213  -2.4229  3.6038

- SMILES = CCCCCCCCC#Cc1cccc([C@@H](O)[C@@H](N)CO)n1
- charge = 0
- electronic energy (eV) = -26193.7978
- LUMO level (eV) = 0.419
- Kohn-Sham gap (eV) = 9.4
- HOMO energy (Ha) = -0.3284
- maximum force (eV/Å) = 2.033



(4)
DFT (ωB97M-V with the def2-TZVPD basis set) results for a molecular structure, C35H33BrHfN6O4S.

Geometry (Å):
Hf  0.2809  -0.0520  -0.4532
O  0.2732  -5.0333  -2.0137
C  -0.9307  -4.5697  -2.4584
C  -1.6423  -5.3773  -3.3367
C  -2.8573  -4.9456  -3.8355
C  -3.3791  -3.7093  -3.4695
C  -2.6646  -2.9007  -2.6057
C  -1.4425  -3.3235  -2.0889
C  -0.6297  -2.4204  -1.2071
O  -1.2331  -1.1789  -0.9367
N  -0.2490  -3.0772  0.0258
N  0.3916  -2.1152  0.8435
C  0.5679  -2.4795  2.0611
C  1.2187  -1.7290  3.1076
Br  1.9157  -0.0453  2.6691
C  1.3441  -2.3045  4.3188
C  1.9710  -1.8264  5.5463
C  1.9090  -0.4944  5.9616
C  2.5128  -0.1132  7.1471
C  3.1893  -1.0512  7.9173
C  3.2346  -2.3810  7.5220
C  2.6070  -2.7732  6.3524
H  0.5101  -4.5813  -1.1906
H  -1.2288  -6.3386  -3.6082
H  -3.4079  -5.5847  -4.5129
H  -4.3320  -3.3817  -3.8600
H  -3.0481  -1.9310  -2.3183
H  0.3443  -2.2247  -1.7268
H  -1.0491  -3.5012  0.4872
H  0.2160  -3.4647  2.3642
*/

Work order
Now count the lines further above that contain the word "eV" and give the number alone.

Done
12